The Future
The Windows 8 architecture  is one of the most advanced operating system (OS)  in the world today. Preserving it’s state of the art Windows NT Kernel and excellent work done from Windows 7, it adds a layer of abstraction for applications that will ensure a fast OS throughout the lifetime of the machine. This module is known as WinRT, Windows Runtime API.
Evolution from Win32
WinRT is the direct evolution of the Win32 API. All the Objected Oriented Programming (OOP) advances are shown off in it, especially with the recent acceptance and ratification of the C++ 0x11 standard. Â Win32’s creation came from the C-era, where functional programming was still prevalent. Today, WinRT is doing the same with the prevalence of OOP. Moreover, it demonstrates efficient use of lambdas, templates and other programming advances that truly make this module next-gen.
Improvements from .NET
Unlike .NET which has been the major previous effort to bring about inter-operability (interop) between languages and components, WinRT is geared to be in speed parity with native languages such as C/C++ and highly flexible with higher ones such as C# and Javascript. The other improvement from .NET is the integration with the IDE Visual Studio 2012. This high coupling between the module and editor allows developers to focus on creating awesome products without having to deal with the details and maintenance challenges of COM objects that more often than not plagued the .NET platform.
Structure of WinRT (and Win32)
The main reason why WinRT’s architecture is geared towards the future is because of it’s heavy usage and bias towards Asynchronous operations. With tablets, phones and computers having more and more cores/processors, it is ever so necessary to adopt and evangelize this programming shift. Async operations are non-blocking so when your program requests a resource whether that be internet, file or other, it won’t halt while that resource is being retrieved. This will ensure a smooth program execution and more importantly a fluid user experience!
The WinRT module sits right under our languages, abstracting the native and complex “Windows Kernel Services”. The need for this layer allows to free up bandwidth so developers can focus on building applications instead of dealing with the intricacies of the operating system. Nevertheless this mode exists along side the old paradigm for more classical apps that are geared towards productivity and professionals as well as to support all the legacy programs since Windows 95.
Asynchronous Operations
The old way of programming on one core processors was to do one operation per cycle and move to the next one. All well and good until a resource external to the program is needed (file, image, sound etc.).
ReadFile(); // Blocking, program will wait before moving to next line
DownloadImage(); // Blocking....
Here the piece breaks off for data records >
'''
The following is a PBE+U calculation of a relaxed structure of AlGaCoO4, from OQMD via LeMat-Bulk.

Summary:
**Energy**: -6.603 eV per atom
**Volume**: 9.832 A^3/atom
**ΔE to the lowest computed polymorph**: 0.0 meV/atom

```
28
Lattice="5.8235 0.0000 0.0000 0.0000 5.8235 0.0000 0.0000 0.0000 8.1175" Properties=species:S:1:pos:R:3 pbc="T T T"
Co 4.3451 2.9118 2.0294
Al 1.4659 0.0000 6.0881
O 2.8152 1.3404 6.0518
O 5.7380 1.3494 1.9032
O 4.4741 0.0855 0.1261
O 4.4832 3.0083 4.0951
O 5.7380 4.4741 2.1555
O 1.3494 5.7380 4.1849
Ga 1.4185 1.4185 3.0441
Ga 4.4050 4.4050 7.1028
O 0.0855 4.4741 5.9620
O 4.4741 5.7380 3.9326
Ga 1.4185 4.4050 1.0147
Al 0.0000 4.3577 4.0588
O 1.3404 2.8152 0.0363
O 3.0083 1.3404 2.0657
Ga 4.4050 1.4185 5.0735
Al 0.0000 1.4659 0.0000
Co 2.9118 1.4785 0.0000
O 1.3494 0.0855 7.9914
O 1.3404 3.0083 4.0225
O 0.0855 1.3494 6.2143
Co 2.9118 4.3451 4.0588
O 3.0083 4.4832 1.9931
O 4.4832 2.8152 8.0812
Co 1.4785 2.9118 6.0881
Al 4.3577 0.0000 2.0294
O 2.8152 4.4832 6.1244
```
'''
UpdateScreen(); // Display will starve causing a bad user experience
ReadMouseInput(); // This too might block although common current implementations shouldn't (1:n Writer to Readers Paradigm).
 Each function in line 2,3 and 5 is dependent on an external resource that could be reserved for another process/thread which will block our program. The Async paradigm counters such a scenario by having the program not be dependent on these functions in order to continue.
FileReader fileReader = new FileReader( filepath );
fileReader.onLoading = new Function() { /* Display Loading Bar? */ };
fileReader.onComplete = new Function() { /* Do Something on complete */ };
fileReader.onFail = new Function() { /* Handle a failure (display user a message?) */ };
fileReader.Start(); // This Function is Non-Blocking!
DownloadAsset dlAsset = new DownloadAsset( address );
dlAsset.Start(); // This Function too is Non-Blocking
UpdateScreen(); // Consequently our screen is not starved and we display fresh data to the user!
Although the code churn does increase (30% to 50%), the benefits gained justify the effort and then some. Applications won’t halt for whatever reason and near constant fluidity is ensured. Moreoverefficient Processor utilization and they will scale adequately in the future with machines containing more than the typical quad-core chips.
ARM Processor Support
WinRT module comes at a time to leverage support for ARM processors which are at the heart of Tablets and other portable devices. They are the answer to the x86 and amd64 energy hungry processors for desktops. Hence writing an application for Windows not only means the x86 instruction set but also the ARM one. WinRT again abstracts the differences between Windows 8 flavors running on these two different processors and allows the developers to focus on the applications instead of figuring out compatibility divergences between the two worlds.
ARM with it’s “Reduced Instruction Set Computer” (RISC) and x86’s (Intel/AMD) “Complex Instruction Set Computer” (CISC) have different assembly operations mainly due to the fact that the size of of ARM instructions are smaller than the x86’s. This has huge implications on how program’s are compiled. Where an x86 operation would take one line, an ARM equivalent one would take two or three. Although one’s first instinct is to point ARM’s inefficiency out, this is reduced by such things as Processor Pipelining and efficient branching. This is one of many reasons why although ARM performs a tad slower than x86, it is a couple orders of magnitude better on energy consumption and production costs.